## Exercise
The reader should find the line underneath that holds "-1.993 -0.982", then type out that line and all lines after it there.

## Excerpt
____________
Record 1
The following is a DFT calculation (ωB97M-V/def2-TZVPD) of a cluster of 2 separate species, C5H15N2 in total.

Output
**Energy above the lowest of the compared OMol25 structures with the same formula, charge and spin**: 3.1245 eV
**Spin multiplicity**: 2
**HOMO level (spin up / spin down)**: -2.554 / -8.095 eV
**Charge**: 0
**⟨S²⟩**: 0.752
**HOMO-LUMO gap (spin up / spin down)**: 2.7 / 8.2 eV

XYZ file:
```
22
Properties=species:S:1:pos:R:3:lowdin_charge:R:1
N -1.921 -1.206 -2.959 -0.03
C -0.747 -0.562 -2.371 -0.35
C 0.388 -1.591 -0.367 -0.16
C -0.644 -0.963 -0.921 -0.35
H -1.993 -0.982 -3.943 0.05
H -2.766 -0.828 -2.547 0.05
H -0.831 0.538 -2.383 0.07
H 0.132 -0.861 -2.936 0.10
H 0.304 -2.091 0.589 0.01
H 1.290 -1.873 -0.900 0.01
H -1.541 -0.788 -0.332 0.06
C 0.469 0.339 2.774 -0.09
C 1.308 1.229 1.890 -0.25
N 0.599 1.513 0.578 0.13
H 1.094 0.014 3.607 0.08
H -0.362 0.928 3.173 0.07
H 0.074 -0.525 2.263 0.05
H 1.562 2.187 2.344 0.11
H 2.252 0.772 1.586 0.09
H 0.559 0.617 0.023 0.06
H 1.118 2.229 0.021 0.15
H -0.344 1.905 0.811 0.12
```

***

Record 2
The following is a DFT calculation (ωB97M-V/def2-TZVPD) of a cluster of 2 separate species, C5H15N2 in total.

Output
**Energy above the lowest of the compared OMol25 structures with the same formula, charge and spin**: 2.0604 eV
**HOMO level**: -12.377 eV
**Charge**: +1
**HOMO-LUMO gap**: 7.3 eV

XYZ file:
```
22
Properties=species:S:1:pos:R:3:lowdin_charge:R:1
C -0.796 1.684 -0.096 -0.34
C -0.103 1.458 1.252 -0.26
C 1.186 0.680 1.166 -0.13
N -2.129 2.190 0.048 0.00
H -0.768 0.772 -0.733 0.08
H -0.134 2.404 -0.639 0.13
H -0.703 0.949 2.025 0.12
H 0.113 2.479 1.661 0.13
H 1.616 0.613 0.147 0.08
H 1.058 -0.343 1.553 0.06
H 1.952 1.157 1.806 0.10
H -2.623 2.312 -0.800 0.05
H -2.064 3.131 0.512 0.11
C 0.832 -2.750 -0.023 0.01
C -0.118 -1.767 -2.075 0.18
N 0.341 -1.665 -0.898 0.00
H 0.196 -2.638 0.867 0.11
H 1.862 -2.573 0.267 0.11
H 0.646 -3.728 -0.492 0.11
H -0.276 -2.764 -2.548 0.15
H -0.394 -0.839 -2.568 0.12
H 0.306 -0.760 -0.433 0.08
```

***

Record 3
The following is a DFT calculation (ωB97M-V/def2-TZVPD) of a cluster of 2 separate species, C5H15N2 in total.

Output
**Energy above the lowest of the compared OMol25 structures with the same formula, charge and spin**: 0.7789 eV
**HOMO level**: -14.526 eV
**Charge**: +1
**HOMO-LUMO gap**: 11.6 eV

XYZ file:
```
22
Properties=species:S:1:pos:R:3:lowdin_charge:R:1
C -0.373 -2.975 1.774 -0.11
C 1.437 -2.685 0.356 0.01
N 0.303 -2.264 0.713 -0.12
H -0.618 -2.293 2.588 0.09
H 0.203 -3.813 2.182 0.08
H -1.302 -3.449 1.448 0.09
H 1.980 -2.171 -0.430 0.08
H 1.895 -3.583 0.761 0.09
C 0.019 1.027 -0.290 -0.18
C -0.461 2.234 -1.074 -0.25
C 0.425 3.460 -0.882 -0.09
N -0.981 -0.092 -0.421 0.15
H 0.967 0.618 -0.636 0.13
H 0.151 1.223 0.772 0.13
H -1.468 2.502 -0.743 0.12
H -0.486 1.974 -2.135 0.12
H 0.445 3.777 0.159 0.08
H 1.455 3.328 -1.210 0.08
H 0.023 4.272 -1.488 0.08
H -1.881 0.195 -0.045 0.16
H -1.103 -0.270 -1.418 0.16
H -0.629 -1.015 0.018 0.10
```

***

Record 4
The following is a DFT calculation (ωB97M-V/def2-TZVPD) of the ion C5H15N2 with charge +1.

Output
**Energy above the lowest of the compared OMol25 structures with the same formula, charge and spin**: 2.2281 eV
**Structure (SMILES)**: C[C@@H]([NH3+])CCCN
**HOMO level**: -12.218 eV
**Charge**: +1
**HOMO-LUMO gap**: 8.7 eV

XYZ file:
```
22
Properties=species:S:1:pos:R:3:lowdin_charge:R:1
C -1.403 -1.760 0.911 -0.06
C -0.427 -0.605 0.639 -0.37
N 0.797 -1.036 1.407 0.18
C -0.077 -0.645 -0.812 -0.23
C 0.884 0.439 -1.143 -0.21
C 0.074 1.794 -1.359 -0.22
N 0.031 2.591 -0.139 0.01
H -0.917 -2.838 0.829 0.15
H -1.869 -1.601 1.901 0.08
H -2.345 -1.499 0.378 0.10
H -0.744 0.460 0.917 0.17
H 1.282 -1.870 1.013 0.18
H 1.567 -0.238 1.317 0.21
H 0.698 -1.138 2.394 0.15
H 0.489 -1.586 -1.031 0.13
H -0.992 -0.651 -1.468 0.15
H 1.672 0.572 -0.459 0.07
H 1.517 0.160 -2.061 0.14
H -1.027 1.561 -1.491 0.13
H 0.655 2.252 -2.204 0.12
H 0.926 2.944 0.154 0.08
H -0.792 2.692 0.309 0.02
```
____________

## Result
H -1.993 -0.982 -3.943 0.05
H -2.766 -0.828 -2.547 0.05
H -0.831 0.538 -2.383 0.07
H 0.132 -0.861 -2.936 0.10
H 0.304 -2.091 0.589 0.01
H 1.290 -1.873 -0.900 0.01
H -1.541 -0.788 -0.332 0.06
C 0.469 0.339 2.774 -0.09
C 1.308 1.229 1.890 -0.25
N 0.599 1.513 0.578 0.13
H 1.094 0.014 3.607 0.08
H -0.362 0.928 3.173 0.07
H 0.074 -0.525 2.263 0.05
H 1.562 2.187 2.344 0.11
H 2.252 0.772 1.586 0.09
H 0.559 0.617 0.023 0.06
H 1.118 2.229 0.021 0.15
H -0.344 1.905 0.811 0.12
```

***

Record 2
The following is a DFT calculation (ωB97M-V/def2-TZVPD) of a cluster of 2 separate species, C5H15N2 in total.

Output
**Energy above the lowest of the compared OMol25 structures with the same formula, charge and spin**: 2.0604 eV
**HOMO level**: -12.377 eV
**Charge**: +1
**HOMO-LUMO gap**: 7.3 eV

XYZ file:
```
22
Properties=species:S:1:pos:R:3:lowdin_charge:R:1
C -0.796 1.684 -0.096 -0.34
C -0.103 1.458 1.252 -0.26
C 1.186 0.680 1.166 -0.13
N -2.129 2.190 0.048 0.00
H -0.768 0.772 -0.733 0.08
H -0.134 2.404 -0.639 0.13
H -0.703 0.949 2.025 0.12
H 0.113 2.479 1.661 0.13
H 1.616 0.613 0.147 0.08
H 1.058 -0.343 1.553 0.06
H 1.952 1.157 1.806 0.10
H -2.623 2.312 -0.800 0.05
H -2.064 3.131 0.512 0.11
C 0.832 -2.750 -0.023 0.01
C -0.118 -1.767 -2.075 0.18
N 0.341 -1.665 -0.898 0.00
H 0.196 -2.638 0.867 0.11
H 1.862 -2.573 0.267 0.11
H 0.646 -3.728 -0.492 0.11
H -0.276 -2.764 -2.548 0.15
H -0.394 -0.839 -2.568 0.12
H 0.306 -0.760 -0.433 0.08
```

***

Record 3
The following is a DFT calculation (ωB97M-V/def2-TZVPD) of a cluster of 2 separate species, C5H15N2 in total.

Output
**Energy above the lowest of the compared OMol25 structures with the same formula, charge and spin**: 0.7789 eV
**HOMO level**: -14.526 eV
**Charge**: +1
**HOMO-LUMO gap**: 11.6 eV

XYZ file:
```
22
Properties=species:S:1:pos:R:3:lowdin_charge:R:1
C -0.373 -2.975 1.774 -0.11
C 1.437 -2.685 0.356 0.01
N 0.303 -2.264 0.713 -0.12
H -0.618 -2.293 2.588 0.09
H 0.203 -3.813 2.182 0.08
H -1.302 -3.449 1.448 0.09
H 1.980 -2.171 -0.430 0.08
H 1.895 -3.583 0.761 0.09
C 0.019 1.027 -0.290 -0.18
C -0.461 2.234 -1.074 -0.25
C 0.425 3.460 -0.882 -0.09
N -0.981 -0.092 -0.421 0.15
H 0.967 0.618 -0.636 0.13
H 0.151 1.223 0.772 0.13
H -1.468 2.502 -0.743 0.12
H -0.486 1.974 -2.135 0.12
H 0.445 3.777 0.159 0.08
H 1.455 3.328 -1.210 0.08
H 0.023 4.272 -1.488 0.08
H -1.881 0.195 -0.045 0.16
H -1.103 -0.270 -1.418 0.16
H -0.629 -1.015 0.018 0.10
```

***

Record 4
The following is a DFT calculation (ωB97M-V/def2-TZVPD) of the ion C5H15N2 with charge +1.

Output
**Energy above the lowest of the compared OMol25 structures with the same formula, charge and spin**: 2.2281 eV
**Structure (SMILES)**: C[C@@H]([NH3+])CCCN
**HOMO level**: -12.218 eV
**Charge**: +1
**HOMO-LUMO gap**: 8.7 eV

XYZ file:
```
22
Properties=species:S:1:pos:R:3:lowdin_charge:R:1
C -1.403 -1.760 0.911 -0.06
C -0.427 -0.605 0.639 -0.37
N 0.797 -1.036 1.407 0.18
C -0.077 -0.645 -0.812 -0.23
C 0.884 0.439 -1.143 -0.21
C 0.074 1.794 -1.359 -0.22
N 0.031 2.591 -0.139 0.01
H -0.917 -2.838 0.829 0.15
H -1.869 -1.601 1.901 0.08
H -2.345 -1.499 0.378 0.10
H -0.744 0.460 0.917 0.17
H 1.282 -1.870 1.013 0.18
H 1.567 -0.238 1.317 0.21
H 0.698 -1.138 2.394 0.15
H 0.489 -1.586 -1.031 0.13
H -0.992 -0.651 -1.468 0.15
H 1.672 0.572 -0.459 0.07
H 1.517 0.160 -2.061 0.14
H -1.027 1.561 -1.491 0.13
H 0.655 2.252 -2.204 0.12
H 0.926 2.944 0.154 0.08
H -0.792 2.692 0.309 0.02
```